**Contents**
~~~
10 unconnected molecules or ions with the total composition C45H95ClN5O25. Source: the OMol25 dataset; level of theory: ωB97M-V/def2-TZVPD.

Structure (XYZ):
```
171
Properties=species:S:1:pos:R:3:mulliken_charge:R:1
Cl 11.5414 -3.2603 -11.5498 1.600
O 11.1699 -4.1095 -12.6074 -0.649
O 10.7654 -3.5344 -10.3766 -0.640
O 12.9535 -3.3911 -11.3054 -0.669
O 11.3287 -1.9003 -11.8937 -0.642
C 10.9540 -5.1538 -5.3474 -0.176
C 9.6804 -5.7259 -4.8063 -0.223
O 9.8851 -5.9061 -3.4702 -0.329
C 11.2353 -5.7009 -3.1686 0.674
O 11.7870 -5.7126 -2.0555 -0.566
O 11.8727 -5.4425 -4.3191 -0.322
H 10.8782 -4.0824 -5.5327 0.167
H 11.2359 -5.7134 -6.2393 0.290
H 9.4603 -6.6783 -5.2886 0.255
H 8.9059 -4.9750 -4.9628 0.225
C 15.0266 -0.5322 -7.4288 -0.275
C 13.6444 -0.0383 -7.3353 -0.137
O 13.8301 1.2391 -6.8413 -0.310
C 14.9998 1.6999 -7.0696 0.723
O 15.3949 2.8531 -6.9496 -0.599
O 15.7747 0.6667 -7.4742 -0.344
H 15.1967 -1.0697 -8.3617 0.273
H 15.2966 -1.1754 -6.5912 0.255
H 13.1055 -0.6714 -6.6304 0.137
H 13.0546 -0.0691 -8.2514 0.275
C 11.9223 -10.4760 -14.7884 -0.189
C 12.2437 -9.0397 -14.4595 -0.342
O 13.6445 -8.9507 -14.5464 -0.263
C 14.1453 -10.1537 -14.5649 0.675
O 15.3525 -10.3863 -14.4507 -0.598
O 13.1966 -11.0729 -14.6060 -0.330
H 11.4996 -10.5569 -15.7898 0.266
H 11.1971 -10.7224 -14.0128 0.269
H 11.8339 -8.7026 -13.5074 0.280
H 11.8567 -8.4143 -15.2640 0.229
C 6.3470 -2.1939 -13.9862 -0.299
C 5.8440 -2.5553 -12.6520 -0.204
O 5.0272 -1.3970 -12.3608 -0.333
C 5.0049 -0.5032 -13.2951 0.700
O 4.4224 0.5674 -13.2284 -0.581
O 5.5522 -1.0523 -14.4159 -0.337
H 6.2376 -3.0319 -14.6745 0.276
H 7.4233 -2.0348 -13.9200 0.242
H 6.6614 -2.6795 -11.9417 0.296
H 5.2846 -3.4591 -12.8934 0.238
C 7.5125 7.0434 -13.7802 -1.916
C 7.8029 5.8638 -12.8032 1.390
C 8.0106 4.6066 -13.7823 -1.122
C 8.7069 3.4334 -13.1225 -0.744
C 10.0433 3.8588 -12.5162 -1.217
C 9.9363 5.1524 -11.5934 1.789
N 9.1629 6.1864 -12.1668 0.276
O 9.1750 7.2360 -11.2660 -0.497
C 9.4006 4.5878 -10.2671 -2.058
C 11.3974 5.5088 -11.2762 -1.994
C 6.6889 5.7448 -11.7148 -1.474
H 8.4355 7.3394 -14.2786 0.455
H 7.1701 7.9275 -13.2423 0.392
H 6.8470 6.7511 -14.5924 0.370
H 6.9961 4.3368 -14.0760 0.547
H 8.6813 4.9036 -14.5885 0.356
H 8.8814 2.6284 -13.8363 0.408
H 7.9624 2.9703 -12.4750 0.313
H 10.7834 3.8183 -13.3153 0.391
H 10.2507 3.0120 -11.8620 0.372
H 8.5701 3.8869 -10.3514 0.359
H 10.1415 4.0575 -9.6688 0.476
H 9.1353 5.4096 -9.6020 0.390
H 11.4640 6.1900 -10.4279 0.424
H 11.9396 4.6380 -10.9076 0.418
H 11.7935 6.0611 -12.1284 0.493
H 5.7418 5.6263 -12.2412 0.465
H 6.5003 6.6915 -11.2086 0.335
H 6.9125 4.9496 -11.0036 0.266
H 9.8831 7.8284 -11.5294 0.338
C 13.1326 0.9079 -18.4200 -0.742
O 12.9334 -0.4530 -18.7258 -0.325
C 12.4098 -1.2394 -17.6920 -0.533
C 12.0825 -2.7505 -18.1031 -0.729
N 13.2535 -3.2699 -18.8601 -0.189
C 12.9326 -4.6734 -19.3065 -0.688
C 13.9797 -5.2343 -20.3035 -0.555
O 13.4194 -5.3211 -21.5047 -0.315
C 13.8762 -6.3718 -22.3255 -0.786
H 12.1281 1.2821 -18.2228 0.304
H 13.5527 1.5208 -19.2175 0.252
H 13.7170 1.0239 -17.5072 0.306
H 11.5519 -0.7027 -17.2869 0.439
H 13.2437 -1.3172 -16.9944 0.267
H 11.2277 -2.6943 -18.7771 0.383
H 11.9026 -3.3448 -17.2072 0.400
H 13.2556 -2.7755 -19.7408 0.191
H 11.9058 -4.7724 -19.6585 0.369
H 13.0089 -5.2922 -18.4124 0.322
H 14.3526 -6.1960 -19.9512 0.427
H 14.8813 -4.6243 -20.3591 0.320
H 13.3467 -6.1916 -23.2610 0.259
H 13.6882 -7.3745 -21.9417 0.319
H 14.9372 -6.2966 -22.5638 0.319
C 22.9462 0.8249 -16.3107 -0.894
O 22.7370 -0.4874 -15.6678 -0.197
C 24.0537 -0.8843 -15.2608 -0.700
C 23.9591 -2.0800 -14.2580 -0.789
N 22.6862 -1.8453 -13.5485 -0.094
C 22.4600 -3.0478 -12.6831 -0.830
C 21.2336 -2.7190 -11.9271 -0.683
O 20.2767 -2.1518 -12.7734 -0.098
C 19.0998 -1.8751 -11.9878 -0.895
H 23.7300 0.8685 -17.0670 0.366
H 23.1178 1.6479 -15.6169 0.346
H 22.0269 1.0842 -16.8358 0.229
H 24.7024 -0.1334 -14.8097 0.386
H 24.7150 -1.1914 -16.0711 0.404
H 24.8347 -2.1085 -13.6095 0.396
H 23.9967 -2.9704 -14.8856 0.377
~~~
**Assignment**
What is needed: filter the rows further up: keep the lines with the word "Structure".
**Written answer**
Structure (XYZ):